To do >
Now start at the top of the material underneath and type out each line, ending with the one that has "'-y,z+1/2,x+1/2'".
Input >
-- begin --
VASP calculation (PBE) on RuAu3 after structural relaxation.

Energy: -35.1 eV for the cell shown
Calculated formation energy: 1.56 eV/f.u.

The structure in CIF format:
```
data_RuAu3
_chemical_formula_sum 'Ru2 Au6'
_symmetry_space_group_name_H-M 'P 1'
_symmetry_Int_Tables_number 1
_cell_length_a 5.845
_cell_length_b 5.845
_cell_length_c 4.705
_cell_angle_alpha 90.00
_cell_angle_beta 90.00
_cell_angle_gamma 120.00
loop_
_symmetry_equiv_pos_as_xyz
'x,y,z'
loop_
_atom_site_label
_atom_site_type_symbol
_atom_site_fract_x
_atom_site_fract_y
_atom_site_fract_z
_atom_site_occupancy
Au1 Au 0.831 0.662 0.750 1
Au2 Au 0.169 0.338 0.250 1
Au3 Au 0.338 0.169 0.750 1
Au4 Au 0.831 0.169 0.750 1
Au5 Au 0.169 0.831 0.250 1
Ru1 Ru 0.667 0.333 0.250 1
Au6 Au 0.662 0.831 0.250 1
Ru2 Ru 0.333 0.667 0.750 1
```

~~~~~

Run 1
# PBE Na2UI6, optimized geometry
# Magnetization: 2.000 μB per formula unit
data_Na2UI6
_chemical_formula_sum 'Na4 U2 I12'
_cell_length_a 9.902
_cell_length_b 9.902
_cell_length_c 9.902
_cell_angle_alpha 90.00
_cell_angle_beta 90.00
_cell_angle_gamma 90.00
_symmetry_space_group_name_H-M 'P n -3 m'
_symmetry_Int_Tables_number 224
loop_
_symmetry_equiv_pos_as_xyz
'x,y,z'
'-x,-y,-z'
'-y,x+1/2,z+1/2'
'y,-x+1/2,-z+1/2'
'-x+1/2,-y+1/2,z'
'x+1/2,y+1/2,-z'
'y+1/2,-x,z+1/2'
'-y+1/2,x,-z+1/2'
'x,-y+1/2,-z+1/2'
'-x,y+1/2,z+1/2'
'-y,-x,-z'
'y,x,z'
'-x+1/2,y,-z+1/2'
'x+1/2,-y,z+1/2'
'y+1/2,x+1/2,-z'
'-y+1/2,-x+1/2,z'
'z,x,y'
'-z,-x,-y'
'z+1/2,-y,x+1/2'
'-z+1/2,y,-x+1/2'
'z,-x+1/2,-y+1/2'
'-z,x+1/2,y+1/2'
'z+1/2,y+1/2,-x'
'-z+1/2,-y+1/2,x'
'-z+1/2,x,-y+1/2'
'z+1/2,-x,y+1/2'
'-z,-y,-x'
'z,y,x'
'-z+1/2,-x+1/2,y'
'z+1/2,x+1/2,-y'
'-z,y+1/2,x+1/2'
'z,-y+1/2,-x+1/2'
'y,z,x'
'-y,-z,-x'
'x+1/2,z+1/2,-y'
'-x+1/2,-z+1/2,y'
'-y+1/2,z,-x+1/2'
'y+1/2,-z,x+1/2'
'-x,z+1/2,y+1/2'
'x,-z+1/2,-y+1/2'
'-y+1/2,-z+1/2,x'
'y+1/2,z+1/2,-x'
'-x,-z,-y'
'x,z,y'
'y,-z+1/2,-x+1/2'
'-y,z+1/2,x+1/2'
'x+1/2,-z,y+1/2'
'-x+1/2,z,-y+1/2'
loop_
_atom_site_label
_atom_site_type_symbol
_atom_site_fract_x
_atom_site_fract_y
_atom_site_fract_z
Na1 Na 0.000 0.000 0.000
U1 U 0.250 0.250 0.250
I1 I 0.053 0.750 0.750

***

Run 2
# PBE Na2UI6, optimized geometry
# Magnetization: 2.003 μB per formula unit
data_Na2UI6
_chemical_formula_sum 'Na6 U3 I18'
_cell_length_a 7.961
_cell_length_b 8.761
_cell_length_c 19.811
_cell_angle_alpha 85.42
_cell_angle_beta 89.92
_cell_angle_gamma 63.04
_symmetry_space_group_name_H-M 'P 1'
_symmetry_Int_Tables_number 1
loop_
_symmetry_equiv_pos_as_xyz
'x,y,z'
loop_
_atom_site_label
_atom_site_type_symbol
_atom_site_fract_x
_atom_site_fract_y
_atom_site_fract_z
Na1 Na 0.000 0.000 0.000
Na2 Na 0.090 0.820 0.725
Na3 Na 0.181 0.645 0.457
Na4 Na 0.511 0.981 0.122
Na5 Na 0.669 0.665 0.334
Na6 Na 0.841 0.319 0.788
U1 U 0.090 0.823 0.227
U2 U 0.428 0.157 0.893
U3 U 0.754 0.488 0.561
I1 I 0.054 0.174 0.643
I2 I 0.121 0.479 0.815
I3 I 0.195 0.266 0.020
I4 I 0.211 0.951 0.859
I5 I 0.297 0.027 0.261
I6 I 0.318 0.712 0.101
I7 I 0.387 0.505 0.308
I8 I 0.459 0.809 0.480
I9 I 0.529 0.607 0.688
I10 I 0.547 0.291 0.528
I11 I 0.635 0.363 0.929
I12 I 0.651 0.048 0.766
I13 I 0.722 0.836 0.976
I14 I 0.793 0.142 0.147
I15 I 0.862 0.936 0.353
I16 I 0.882 0.620 0.193
I17 I 0.959 0.697 0.593
I18 I 0.986 0.380 0.435

***

Relative to the most stable structure, the computed energies are run 1 6.4; run 2 0.0, all in kJ/mol of atoms.

***

Run 1
# PBE NbPO5, optimized geometry
# Magnetization: 0.000 μB per formula unit
data_NbPO5
_chemical_formula_sum 'Nb4 P4 O20'
_cell_length_a 7.662
_cell_length_b 6.558
_cell_length_c 7.527
_cell_angle_alpha 90.00
_cell_angle_beta 90.00
_cell_angle_gamma 90.00
_symmetry_space_group_name_H-M 'P n m a'
_symmetry_Int_Tables_number 62
loop_
_symmetry_equiv_pos_as_xyz
'x,y,z'
'-x,-y,-z'
'-x+1/2,-y,z+1/2'
'x+1/2,y,-z+1/2'
'x+1/2,-y+1/2,-z+1/2'
'-x+1/2,y+1/2,z+1/2'
'-x,y+1/2,-z'
'x,-y+1/2,z'
loop_
_atom_site_label
_atom_site_type_symbol
_atom_site_fract_x
_atom_site_fract_y
_atom_site_fract_z
Nb1 Nb 0.154 0.250 0.240
P1 P 0.122 0.750 0.123
-- stop --
Completed >
VASP calculation (PBE) on RuAu3 after structural relaxation.

Energy: -35.1 eV for the cell shown
Calculated formation energy: 1.56 eV/f.u.

The structure in CIF format:
```
data_RuAu3
_chemical_formula_sum 'Ru2 Au6'
_symmetry_space_group_name_H-M 'P 1'
_symmetry_Int_Tables_number 1
_cell_length_a 5.845
_cell_length_b 5.845
_cell_length_c 4.705
_cell_angle_alpha 90.00
_cell_angle_beta 90.00
_cell_angle_gamma 120.00
loop_
_symmetry_equiv_pos_as_xyz
'x,y,z'
loop_
_atom_site_label
_atom_site_type_symbol
_atom_site_fract_x
_atom_site_fract_y
_atom_site_fract_z
_atom_site_occupancy
Au1 Au 0.831 0.662 0.750 1
Au2 Au 0.169 0.338 0.250 1
Au3 Au 0.338 0.169 0.750 1
Au4 Au 0.831 0.169 0.750 1
Au5 Au 0.169 0.831 0.250 1
Ru1 Ru 0.667 0.333 0.250 1
Au6 Au 0.662 0.831 0.250 1
Ru2 Ru 0.333 0.667 0.750 1
```

~~~~~

Run 1
# PBE Na2UI6, optimized geometry
# Magnetization: 2.000 μB per formula unit
data_Na2UI6
_chemical_formula_sum 'Na4 U2 I12'
_cell_length_a 9.902
_cell_length_b 9.902
_cell_length_c 9.902
_cell_angle_alpha 90.00
_cell_angle_beta 90.00
_cell_angle_gamma 90.00
_symmetry_space_group_name_H-M 'P n -3 m'
_symmetry_Int_Tables_number 224
loop_
_symmetry_equiv_pos_as_xyz
'x,y,z'
'-x,-y,-z'
'-y,x+1/2,z+1/2'
'y,-x+1/2,-z+1/2'
'-x+1/2,-y+1/2,z'
'x+1/2,y+1/2,-z'
'y+1/2,-x,z+1/2'
'-y+1/2,x,-z+1/2'
'x,-y+1/2,-z+1/2'
'-x,y+1/2,z+1/2'
'-y,-x,-z'
'y,x,z'
'-x+1/2,y,-z+1/2'
'x+1/2,-y,z+1/2'
'y+1/2,x+1/2,-z'
'-y+1/2,-x+1/2,z'
'z,x,y'
'-z,-x,-y'
'z+1/2,-y,x+1/2'
'-z+1/2,y,-x+1/2'
'z,-x+1/2,-y+1/2'
'-z,x+1/2,y+1/2'
'z+1/2,y+1/2,-x'
'-z+1/2,-y+1/2,x'
'-z+1/2,x,-y+1/2'
'z+1/2,-x,y+1/2'
'-z,-y,-x'
'z,y,x'
'-z+1/2,-x+1/2,y'
'z+1/2,x+1/2,-y'
'-z,y+1/2,x+1/2'
'z,-y+1/2,-x+1/2'
'y,z,x'
'-y,-z,-x'
'x+1/2,z+1/2,-y'
'-x+1/2,-z+1/2,y'
'-y+1/2,z,-x+1/2'
'y+1/2,-z,x+1/2'
'-x,z+1/2,y+1/2'
'x,-z+1/2,-y+1/2'
'-y+1/2,-z+1/2,x'
'y+1/2,z+1/2,-x'
'-x,-z,-y'
'x,z,y'
'y,-z+1/2,-x+1/2'
'-y,z+1/2,x+1/2'